(Source)
[1]
C3H3IN2O2 | the ωB97M-V functional and the def2-TZVPD basis

Geometry as XYZ:
```
11
C3H3IN2O2 | OMol25 | the ωB97M-V functional and the def2-TZVPD basis
O 0.8145 0.6171 1.9414
C 1.5404 -0.1139 2.5649
N -0.0089 -1.5858 0.0333
I 1.7312 -2.0120 1.0282
H -1.4181 -0.8266 -1.6681
H -0.1779 0.3746 -2.1290
C 0.1779 0.8311 0.5784
N -0.1884 -0.2395 -0.1171
C -0.8930 0.0752 -1.3608
H -1.5980 0.8869 -1.1811
O 0.0204 1.9930 0.3098
```

Calculated values
**Total energy**: -673.56461 Eh
**Spin multiplicity**: 1
**Energy above the lowest of the compared OMol25 structures with the same formula, charge and spin**: 568.5 kJ/mol
**Strongest force on any atom**: 2.7 eV/A
**HOMO-LUMO gap**: 6.84 eV


[2]
C5H7Br2FHgSi | the ωB97M-V functional and the def2-TZVPD basis

Geometry as XYZ:
```
17
C5H7Br2FHgSi | OMol25 | the ωB97M-V functional and the def2-TZVPD basis
C -0.2887 -0.3847 2.0587
H -0.5792 -0.8278 -1.8619
C -0.7228 -1.5806 2.5396
H -2.0415 -0.1357 -0.1036
Br 2.3500 1.2523 -2.0681
H 1.0124 -1.1092 -2.5429
F -1.9442 1.7850 1.4993
Br 0.8417 2.9708 0.3047
C 0.2752 1.3061 -0.2035
H -0.6502 -2.5248 1.9990
C 0.9063 0.5589 -1.2027
H 0.5940 0.0798 2.5102
C 0.4891 -0.8045 -1.6441
H -1.1716 -1.6171 3.5368
H 0.7095 -1.5474 -0.8796
Hg 1.3823 1.9331 -4.7027
Si -1.1623 0.6458 0.7606
```

Calculated values
**Total energy**: -5884.71235 Eh
**Spin multiplicity**: 1
**Energy above the lowest of the compared OMol25 structures with the same formula, charge and spin**: 0.0 kJ/mol
**Strongest force on any atom**: 1.5 eV/A
**Net charge**: +2
**HOMO-LUMO gap**: 3.39 eV


[3]
Cd2H22O15P | the ωB97M-V functional and the def2-TZVPD basis

Geometry as XYZ:
```
40
Cd2H22O15P | OMol25 | the ωB97M-V functional and the def2-TZVPD basis
H 3.1759 -5.2678 -5.3727
H -1.3018 -6.0464 -9.6022
H 5.5561 -10.9725 -7.3182
O 0.7557 -10.4600 -12.8712
H 0.3074 -6.3512 -2.6329
O -1.9604 -6.6492 -9.2570
O 2.7644 -6.7998 -8.3908
H -0.5836 -11.9220 -5.3669
O 3.5432 -9.8761 -3.7725
H 1.4966 -11.0324 -13.0707
O 1.3358 -3.5600 -7.2771
H 1.1266 -3.0048 -8.0282
H 4.4781 -10.0441 -3.6542
Cd -1.1704 -9.1511 -7.7456
O 1.6678 -13.1309 -9.0863
H -0.1905 -12.4275 -6.7388
O -0.5980 -11.6842 -6.2940
H 1.5879 -5.7025 -12.3931
H 0.4808 -7.1931 -3.8791
O 3.6915 -8.6675 -7.2749
H 2.3099 -5.4459 -11.0874
H 4.0098 -5.1567 -4.1141
O 4.0773 -5.3198 -5.0548
O 2.3440 -5.2468 -12.0230
O 0.5290 -7.2357 -2.9241
H 1.6334 -4.3838 -7.6631
O 6.2050 -11.6710 -7.4037
H 0.8085 -10.3198 -11.9258
H 7.4363 -8.4172 -10.0836
O 6.8319 -7.6757 -10.1160
H 6.5058 -7.6710 -11.0159
H -2.7208 -6.5246 -9.8247
H 3.4600 -9.6178 -4.6904
Cd 5.4155 -6.4941 -7.5328
H 2.5125 -13.3654 -9.4706
O 1.1712 -7.7810 -6.8642
H 7.0489 -11.2223 -7.3508
P 2.3144 -8.1671 -7.8631
H 1.5740 -12.1953 -9.2655
O 1.4486 -9.0649 -8.7630
```

Calculated values
**Total energy**: -1818.20457 Eh
**Spin multiplicity**: 1
**Energy above the lowest of the compared OMol25 structures with the same formula, charge and spin**: 791.4 kJ/mol
**Strongest force on any atom**: 4.2 eV/A
**Net charge**: +1
**HOMO-LUMO gap**: 3.85 eV


What did the third record say?
Cd2H22O15P | the ωB97M-V functional and the def2-TZVPD basis

Geometry as XYZ:
```
40
Cd2H22O15P | OMol25 | the ωB97M-V functional and the def2-TZVPD basis
H 3.1759 -5.2678 -5.3727
H -1.3018 -6.0464 -9.6022
H 5.5561 -10.9725 -7.3182
O 0.7557 -10.4600 -12.8712
H 0.3074 -6.3512 -2.6329
O -1.9604 -6.6492 -9.2570
O 2.7644 -6.7998 -8.3908
H -0.5836 -11.9220 -5.3669
O 3.5432 -9.8761 -3.7725
H 1.4966 -11.0324 -13.0707
O 1.3358 -3.5600 -7.2771
H 1.1266 -3.0048 -8.0282
H 4.4781 -10.0441 -3.6542
Cd -1.1704 -9.1511 -7.7456
O 1.6678 -13.1309 -9.0863
H -0.1905 -12.4275 -6.7388
O -0.5980 -11.6842 -6.2940
H 1.5879 -5.7025 -12.3931
H 0.4808 -7.1931 -3.8791
O 3.6915 -8.6675 -7.2749

(To do)
Transcribe every line further up that contains the word "force".

(Worked solution)
**Strongest force on any atom**: 2.7 eV/A
**Strongest force on any atom**: 1.5 eV/A
**Strongest force on any atom**: 4.2 eV/A